Machine Learning Engineering of Intelligent Software/System: Cross Dataset Analysis and Network Architecture Repair for Autonomous Car Lane Detection

Sid Bhattacharyya

Unrelated to this piece: materials data
1.
First-principles (PBE) data for a geometry-optimized Cr2ReGe2 structure, as listed in Alexandria.

Lattice parameters (Å, degrees): 3.3768 3.3768 12.7596 90.00 90.00 90.00
Atoms (fractional coordinates):
Cr1 0.0000 0.0000 0.0997
Cr2 0.0000 0.0000 0.9003
Cr3 0.5000 0.5000 0.4003
Cr4 0.5000 0.5000 0.5997
Re1 0.0000 0.0000 0.5000
Re2 0.5000 0.5000 0.0000
Ge1 0.0000 0.5000 0.2500
Ge2 0.0000 0.5000 0.7500
Ge3 0.5000 0.0000 0.2500
Ge4 0.5000 0.0000 0.7500

- Theoretical density: 9.9 Mg/m³
- Volume: 14.549 Å³ per atom
- DOS(E_F): 11.9 states/eV per cell
- E_form: 0.632 eV/atom
- Crystal system: tetragonal
- ΔE to the lowest computed polymorph: 2.08 eV/f.u.

=====

2.
First-principles (PBE) data for a geometry-optimized CrRe2Ge structure, as listed in Alexandria.

Lattice parameters (Å, degrees): 2.7910 2.7910 26.7856 90.00 90.00 120.00
Atoms (fractional coordinates):
Cr1 0.0000 0.0000 0.0000
Cr2 0.3333 0.6667 0.6667
Cr3 0.6667 0.3333 0.3333
Re1 0.0000 0.0000 0.0861
Re2 0.0000 0.0000 0.9139
Re3 0.3333 0.6667 0.5806
Re4 0.3333 0.6667 0.7527
Re5 0.6667 0.3333 0.2473
Re6 0.6667 0.3333 0.4194
Ge1 0.0000 0.0000 0.5000
Ge2 0.3333 0.6667 0.1667
Ge3 0.6667 0.3333 0.8333

- Theoretical density: 13.7 Mg/m³
- Volume: 15.058 Å³ per atom
- DOS(E_F): 12.1 states/eV per cell
- E_form: 0.766 eV/atom
- Crystal system: trigonal

=====

3.
First-principles (PBE) data for a geometry-optimized Cr2ReGe2 structure, as listed in Alexandria.

Lattice parameters (Å, degrees): 6.8555 6.8555 2.9546 90.00 90.00 90.00
Atoms (fractional coordinates):
Cr1 0.1568 0.3432 0.0000
Cr2 0.3432 0.8432 0.0000
Cr3 0.6568 0.1568 0.0000
Cr4 0.8432 0.6568 0.0000
Re1 0.0000 0.0000 0.5000
Re2 0.5000 0.5000 0.5000
Ge1 0.1422 0.6422 0.5000
Ge2 0.3578 0.1422 0.5000
Ge3 0.6422 0.8578 0.5000
Ge4 0.8578 0.3578 0.5000

- Theoretical density: 10.4 Mg/m³
- Volume: 13.886 Å³ per atom
- DOS(E_F): 12.0 states/eV per cell
- E_form: 0.216 eV/atom
- Crystal system: tetragonal
- ΔE to the lowest computed polymorph: 0.00 eV/f.u.

=====

4.
First-principles (PBE) data for a geometry-optimized CrReGe3 structure, as listed in Alexandria.

Lattice parameters (Å, degrees): 4.8449 4.8449 4.8449 90.00 90.00 90.00
Atoms (fractional coordinates):
Cr1 0.0000 0.0000 0.0000
Re1 0.5000 0.5000 0.5000
Ge1 0.0000 0.5000 0.5000
Ge2 0.5000 0.0000 0.5000
Ge3 0.5000 0.5000 0.0000

- Theoretical density: 6.7 Mg/m³
- Volume: 22.745 Å³ per atom
- DOS(E_F): 2.5 states/eV per cell
- E_form: 0.717 eV/atom
- Crystal system: cubic
- ΔE to the lowest computed polymorph: 0.00 eV/f.u.

Florida Tech

Here the text breaks off for crystal structures:
+++
An optimized crystal structure of K2SrNbAl, computed with PBE-GGA.

Lattice parameters (Å, degrees): 6.463 5.285 6.463 90.00 90.00 90.00
Last column: magnetic moment on the atom in μB.
Fractional coordinates of all 5 atoms:
Sr  0.500  0.500  0.500  -0.04
Nb  0.000  0.000  0.000  2.47
K  0.000  0.000  0.500  0.04
K  0.500  0.000  0.000  0.04
Al  0.000  0.500  0.000  -0.03

Results
Formation energy: 0.980 eV/atom
DOS at the Fermi energy: 0.997 states/eV/atom
Total DFT energy (no corrections): -12.789 eV/cell

* * * * *

! NaCaBePd2, PBEsol geometry, DFT meta-GGA SCAN; values from VASP
! - Total magnetization: 0.00 μB/cell
! - Final energy: -15.67 eV per atom
&SYSTEM
  ibrav = 0, nat = 5, ntyp = 4
/
ATOMIC_SPECIES
Na 22.99 Na.upf
Ca 40.08 Ca.upf
Be 9.01 Be.upf
Pd 106.42 Pd.upf
CELL_PARAMETERS angstrom
4.825 0.000 0.000
0.000 4.825 0.000
0.000 0.000 5.078
ATOMIC_POSITIONS crystal
Na 0.000 0.000 0.000
Ca 0.000 0.000 0.500
Be 0.500 0.500 0.000
Pd 0.000 0.500 0.500
Pd 0.500 0.000 0.500
+++


Machine Learning Engineering is an evolving field that supports the exploration of different strategies in the design of reliable intelligent software. One such exploration involves, Transfer Learning which has become one of the standard methods to solve problems to overcome the isolated learning paradigm by utilizing knowledge acquired for one task to solve another related one. However, research needs to be done, to identify the initial steps before inducing transfer learning to applications for further verification and explainablity. In this research, we have performed cross dataset analysis and network architecture repair for the lane detection application in autonomous vehicles. Lane detection is an important aspect of autonomous vehicles’ driving assistance system. In most circumstances, modern deep-learning-based lane recognition systems are successful, but they struggle with lanes with complex topologies. The proposed architecture, ERF-CondLaneNet is an enhancement to the CondlaneNet used for lane identification framework to solve the difficulty of detecting lane lines with complex topologies like dense, curved and fork lines. The newly proposed technique was tested on two common lane detecting benchmarks, CULane and CurveLanes respectively, and two different backbones, ResNet and ERFNet. The researched technique with ERF-CondLaneNet, exhibited similar performance in comparison to Resnet-CondLaneNet, while using 33% less features, resulting in a reduction of model size by 46%.

About the Speaker

Siddhartha (Sid) Bhattacharyya's primary area of research expertise/interest is in machine learning engineering, model-based engineering, architectural analysis with formal methods for the design, verification and validation of intelligent autonomous systems, cyber security, and avionics. His research lab ASSIST (Assured Safety, Security, and Intent with Systematic Tactics) focuses on the design/development and application of innovative formal methods to assure the performance of intelligent systems, formally verify correctness or predict future behavior as it evolves and explore approaches in machine learning engineering for the development of reliable intelligent software. These research efforts have been funded through NASA, ONR, National Renewable Energy Labs (NREL), DARPA and other research agencies.